## Material
Entry 1:
CaV4O10 | PBE+U | optimized geometry

Results
Space group: No. 25
Size of the total moment, μB per formula unit: 2.002

a = 3.618 Å, b = 5.175 Å, c = 11.476 Å
α = 90.00°, β = 90.00°, γ = 90.00°
Atoms (fractional coordinates):
Ca: 0.000 0.852 0.500
V: 0.000 0.593 0.851
V: 0.500 0.393 0.651
V: 0.500 0.393 0.349
V: 0.000 0.593 0.149
O: 0.500 0.563 0.500
O: 0.000 0.478 0.000
O: 0.500 0.488 0.821
O: 0.000 0.529 0.676
O: 0.500 0.488 0.179
O: 0.000 0.529 0.324
O: 0.000 0.902 0.140
O: 0.500 0.074 0.379
O: 0.500 0.074 0.621
O: 0.000 0.902 0.860



Entry 2:
CaV2O5 | PBE+U | optimized geometry

Results
Space group: No. 63
Size of the total moment, μB per formula unit: 2.000

a = 3.818 Å, b = 5.899 Å, c = 11.324 Å
α = 90.00°, β = 90.00°, γ = 108.88°
Atoms (fractional coordinates):
Ca: 0.897 0.793 0.750
Ca: 0.103 0.207 0.250
V: 0.202 0.405 0.596
V: 0.798 0.595 0.404
V: 0.798 0.595 0.096
V: 0.202 0.405 0.904
O: 0.712 0.423 0.250
O: 0.288 0.577 0.750
O: 0.241 0.481 0.075
O: 0.759 0.519 0.925
O: 0.759 0.519 0.575
O: 0.241 0.481 0.425
O: 0.056 0.111 0.620
O: 0.944 0.889 0.380
O: 0.056 0.111 0.880
O: 0.944 0.889 0.120



Entry 3:
CaV2O6 | PBE+U | optimized geometry

Results
Space group: No. 31
Size of the total moment, μB per formula unit: 0.000

a = 5.446 Å, b = 5.488 Å, c = 7.312 Å
α = 90.00°, β = 90.00°, γ = 90.00°
Atoms (fractional coordinates):
Ca: 0.520 0.302 0.500
Ca: 0.020 0.698 0.000
V: 0.040 0.232 0.757
V: 0.540 0.768 0.257
V: 0.540 0.768 0.743
V: 0.040 0.232 0.243
O: 0.207 0.966 0.217
O: 0.263 0.456 0.778
O: 0.707 0.034 0.283
O: 0.763 0.544 0.722
O: 0.763 0.544 0.278
O: 0.707 0.034 0.717
O: 0.263 0.456 0.222
O: 0.207 0.966 0.783
O: 0.039 0.240 0.500
O: 0.429 0.739 0.500
O: 0.929 0.261 0.000
O: 0.539 0.760 0.000



Entry 4:
CaV4O6 | PBE+U | optimized geometry

Results
Space group: No. 63
Size of the total moment, μB per formula unit: 0.018

a = 3.111 Å, b = 5.263 Å, c = 15.437 Å
α = 90.00°, β = 90.00°, γ = 72.81°
Atoms (fractional coordinates):
Ca: 0.349 0.302 0.750
Ca: 0.651 0.698 0.250
V: 0.861 0.277 0.957
V: 0.861 0.277 0.543
V: 0.402 0.195 0.366
V: 0.402 0.195 0.134
V: 0.139 0.723 0.043
V: 0.139 0.723 0.457
V: 0.598 0.805 0.634
V: 0.598 0.805 0.866
O: 0.500 0.000 0.500
O: 0.500 0.000 0.000
O: 0.678 0.644 0.750
O: 0.322 0.356 0.250
O: 0.970 0.060 0.841
O: 0.030 0.940 0.159
O: 0.030 0.940 0.341
O: 0.970 0.060 0.659
O: 0.224 0.553 0.912
O: 0.776 0.447 0.088
O: 0.776 0.447 0.412
O: 0.224 0.553 0.588



Entry 5:
CaV2O2 | PBE+U | optimized geometry

Results
Space group: No. 141
Size of the total moment, μB per formula unit: 6.000

a = 8.333 Å, b = 8.333 Å, c = 8.333 Å
α = 117.94°, β = 117.94°, γ = 93.62°
Atoms (fractional coordinates):
Ca: 0.875 0.125 0.250
Ca: 0.875 0.625 0.750
Ca: 0.375 0.125 0.250
Ca: 0.875 0.125 0.750
V: 0.556 0.370 0.813
V: 0.556 0.743 0.187
V: 0.493 0.806 0.687
V: 0.194 0.507 0.313
V: 0.194 0.880 0.687
V: 0.120 0.806 0.313
V: 0.257 0.444 0.813
V: 0.630 0.444 0.187
O: 0.670 0.343 0.673
O: 0.670 0.997 0.327
O: 0.747 0.920 0.827
O: 0.080 0.253 0.173
O: 0.080 0.907 0.827
O: 0.093 0.920 0.173
O: 0.003 0.330 0.673
O: 0.657 0.330 0.327



Entry 6:
CaV5O7 | PBE+U | optimized geometry

Results
Space group: No. 63
Size of the total moment, μB per formula unit: 1.082

a = 3.124 Å, b = 5.256 Å, c = 18.148 Å
α = 89.99°, β = 90.00°, γ = 107.29°
Atoms (fractional coordinates):
Ca: 0.790 0.581 0.750
Ca: 0.210 0.419 0.250
V: 0.278 0.556 0.574
V: 0.722 0.444 0.426
V: 0.722 0.444 0.074
V: 0.278 0.556 0.926
V: 0.000 0.000 0.500
V: 0.000 0.000 0.000
V: 0.458 0.916 0.151
V: 0.542 0.084 0.849
V: 0.542 0.084 0.651
V: 0.458 0.916 0.349
O: 0.461 0.922 0.750
O: 0.539 0.078 0.250
O: 0.633 0.267 0.960
O: 0.367 0.733 0.040
O: 0.367 0.733 0.460
O: 0.633 0.267 0.540
O: 0.169 0.339 0.828
O: 0.831 0.661 0.172
O: 0.830 0.661 0.328
O: 0.169 0.339 0.672
O: 0.916 0.833 0.889
O: 0.084 0.167 0.111
O: 0.084 0.167 0.389
O: 0.916 0.833 0.611



Entry 7:
CaV2O6 | PBE+U | optimized geometry

Results
Space group: No. 12

## Activity
It remains to type out the material earlier on without additions.

## Result
Entry 1:
CaV4O10 | PBE+U | optimized geometry

Results
Space group: No. 25
Size of the total moment, μB per formula unit: 2.002

a = 3.618 Å, b = 5.175 Å, c = 11.476 Å
α = 90.00°, β = 90.00°, γ = 90.00°
Atoms (fractional coordinates):
Ca: 0.000 0.852 0.500
V: 0.000 0.593 0.851
V: 0.500 0.393 0.651
V: 0.500 0.393 0.349
V: 0.000 0.593 0.149
O: 0.500 0.563 0.500
O: 0.000 0.478 0.000
O: 0.500 0.488 0.821
O: 0.000 0.529 0.676
O: 0.500 0.488 0.179
O: 0.000 0.529 0.324
O: 0.000 0.902 0.140
O: 0.500 0.074 0.379
O: 0.500 0.074 0.621
O: 0.000 0.902 0.860



Entry 2:
CaV2O5 | PBE+U | optimized geometry

Results
Space group: No. 63
Size of the total moment, μB per formula unit: 2.000

a = 3.818 Å, b = 5.899 Å, c = 11.324 Å
α = 90.00°, β = 90.00°, γ = 108.88°
Atoms (fractional coordinates):
Ca: 0.897 0.793 0.750
Ca: 0.103 0.207 0.250
V: 0.202 0.405 0.596
V: 0.798 0.595 0.404
V: 0.798 0.595 0.096
V: 0.202 0.405 0.904
O: 0.712 0.423 0.250
O: 0.288 0.577 0.750
O: 0.241 0.481 0.075
O: 0.759 0.519 0.925
O: 0.759 0.519 0.575
O: 0.241 0.481 0.425
O: 0.056 0.111 0.620
O: 0.944 0.889 0.380
O: 0.056 0.111 0.880
O: 0.944 0.889 0.120



Entry 3:
CaV2O6 | PBE+U | optimized geometry

Results
Space group: No. 31
Size of the total moment, μB per formula unit: 0.000

a = 5.446 Å, b = 5.488 Å, c = 7.312 Å
α = 90.00°, β = 90.00°, γ = 90.00°
Atoms (fractional coordinates):
Ca: 0.520 0.302 0.500
Ca: 0.020 0.698 0.000
V: 0.040 0.232 0.757
V: 0.540 0.768 0.257
V: 0.540 0.768 0.743
V: 0.040 0.232 0.243
O: 0.207 0.966 0.217
O: 0.263 0.456 0.778
O: 0.707 0.034 0.283
O: 0.763 0.544 0.722
O: 0.763 0.544 0.278
O: 0.707 0.034 0.717
O: 0.263 0.456 0.222
O: 0.207 0.966 0.783
O: 0.039 0.240 0.500
O: 0.429 0.739 0.500
O: 0.929 0.261 0.000
O: 0.539 0.760 0.000



Entry 4:
CaV4O6 | PBE+U | optimized geometry

Results
Space group: No. 63
Size of the total moment, μB per formula unit: 0.018

a = 3.111 Å, b = 5.263 Å, c = 15.437 Å
α = 90.00°, β = 90.00°, γ = 72.81°
Atoms (fractional coordinates):
Ca: 0.349 0.302 0.750
Ca: 0.651 0.698 0.250
V: 0.861 0.277 0.957
V: 0.861 0.277 0.543
V: 0.402 0.195 0.366
V: 0.402 0.195 0.134
V: 0.139 0.723 0.043
V: 0.139 0.723 0.457
V: 0.598 0.805 0.634
V: 0.598 0.805 0.866
O: 0.500 0.000 0.500
O: 0.500 0.000 0.000
O: 0.678 0.644 0.750
O: 0.322 0.356 0.250
O: 0.970 0.060 0.841
O: 0.030 0.940 0.159
O: 0.030 0.940 0.341
O: 0.970 0.060 0.659
O: 0.224 0.553 0.912
O: 0.776 0.447 0.088
O: 0.776 0.447 0.412
O: 0.224 0.553 0.588



Entry 5:
CaV2O2 | PBE+U | optimized geometry

Results
Space group: No. 141
Size of the total moment, μB per formula unit: 6.000

a = 8.333 Å, b = 8.333 Å, c = 8.333 Å
α = 117.94°, β = 117.94°, γ = 93.62°
Atoms (fractional coordinates):
Ca: 0.875 0.125 0.250
Ca: 0.875 0.625 0.750
Ca: 0.375 0.125 0.250
Ca: 0.875 0.125 0.750
V: 0.556 0.370 0.813
V: 0.556 0.743 0.187
V: 0.493 0.806 0.687
V: 0.194 0.507 0.313
V: 0.194 0.880 0.687
V: 0.120 0.806 0.313
V: 0.257 0.444 0.813
V: 0.630 0.444 0.187
O: 0.670 0.343 0.673
O: 0.670 0.997 0.327
O: 0.747 0.920 0.827
O: 0.080 0.253 0.173
O: 0.080 0.907 0.827
O: 0.093 0.920 0.173
O: 0.003 0.330 0.673
O: 0.657 0.330 0.327



Entry 6:
CaV5O7 | PBE+U | optimized geometry

Results
Space group: No. 63
Size of the total moment, μB per formula unit: 1.082

a = 3.124 Å, b = 5.256 Å, c = 18.148 Å
α = 89.99°, β = 90.00°, γ = 107.29°
Atoms (fractional coordinates):
Ca: 0.790 0.581 0.750
Ca: 0.210 0.419 0.250
V: 0.278 0.556 0.574
V: 0.722 0.444 0.426
V: 0.722 0.444 0.074
V: 0.278 0.556 0.926
V: 0.000 0.000 0.500
V: 0.000 0.000 0.000
V: 0.458 0.916 0.151
V: 0.542 0.084 0.849
V: 0.542 0.084 0.651
V: 0.458 0.916 0.349
O: 0.461 0.922 0.750
O: 0.539 0.078 0.250
O: 0.633 0.267 0.960
O: 0.367 0.733 0.040
O: 0.367 0.733 0.460
O: 0.633 0.267 0.540
O: 0.169 0.339 0.828
O: 0.831 0.661 0.172
O: 0.830 0.661 0.328
O: 0.169 0.339 0.672
O: 0.916 0.833 0.889
O: 0.084 0.167 0.111
O: 0.084 0.167 0.389
O: 0.916 0.833 0.611



Entry 7:
CaV2O6 | PBE+U | optimized geometry

Results
Space group: No. 12